Material:
+++
! Li4MnCo3O8 | Materials Project | GGA+U | relaxed; values from VASP
&SYSTEM
  ibrav = 0, nat = 32, ntyp = 4
/
ATOMIC_SPECIES
O 16.00 O.upf
Co 58.93 Co.upf
Mn 54.94 Mn.upf
Li 6.94 Li.upf
ATOMIC_POSITIONS angstrom
O 2.1628 3.3995 11.4575
O -0.6562 -0.6312 6.6996
O -0.5647 2.4394 10.9788
O 0.1984 0.1373 9.6634
O 2.9260 1.0975 10.1422
O -5.5596 1.9959 1.6329
O -5.1976 3.2748 9.1584
O -3.6491 0.2615 2.9440
O -2.5022 1.0814 5.4375
O -3.5929 3.5421 7.0702
O -7.2046 1.6021 3.7553
O -0.9190 1.3553 3.3967
O -3.2869 1.5420 10.4701
O -1.6418 1.9356 8.3478
O -5.2534 -0.0038 5.0327
O 0.9270 -0.3564 4.6589
Co -0.0242 -0.0789 0.0294
Co 1.0553 -1.3512 6.3096
Co -0.7876 0.3621 5.0482
Co -2.6307 2.0751 3.7869
Co -1.5515 0.8024 10.0675
Co 1.1807 1.7684 10.5605
Mn -5.4146 0.9880 3.3357
Mn -3.4321 2.5500 8.7672
Li 0.1915 1.0852 7.7768
Li -2.5552 0.0034 7.2963
Li 0.0863 -2.0729 3.6258
Li 0.3309 4.1796 12.0168
Li -2.4546 3.1757 11.5638
Li -4.4233 1.7690 6.0512
Li 2.0306 -0.6430 9.1043
Li -1.7669 -0.3615 2.3201
CELL_PARAMETERS angstrom
-0.8934 -2.7936 0.8251
3.9372 2.8134 11.0246
-7.2705 2.8144 2.0062
! crystal system	triclinic
! uncorrected energy	-0.431	Ry per atom
! magnetic moment	16.00	μB per cell
! energy of formation from the pure elements	-1.76	eV per atom

* * * * *

Sn2S3O12: optimized geometry, GGA-PBE.

Cell lengths 9.191, 9.191, 9.191 Å; angles 60.00, 60.00, 60.00 degrees
Atoms (fractional coordinates):
Sn1 0.860 0.860 0.860
Sn2 0.640 0.640 0.640
Sn3 0.140 0.140 0.140
Sn4 0.360 0.360 0.360
S1 0.250 0.546 0.954
S2 0.454 0.046 0.750
S3 0.046 0.750 0.454
S4 0.954 0.250 0.546
S5 0.546 0.954 0.250
S6 0.750 0.454 0.046
O1 0.400 0.559 0.780
O2 0.220 0.600 0.441
O3 0.402 0.989 0.194
O4 0.511 0.098 0.306
O5 0.100 0.720 0.941
O6 0.280 0.059 0.900
O7 0.441 0.220 0.600
O8 0.694 0.489 0.902
O9 0.011 0.806 0.598
O10 0.806 0.598 0.011
O11 0.902 0.694 0.489
O12 0.059 0.900 0.280
O13 0.941 0.100 0.720
O14 0.194 0.402 0.989
O15 0.098 0.306 0.511
O16 0.306 0.511 0.098
O17 0.989 0.194 0.402
O18 0.559 0.780 0.400
O19 0.720 0.941 0.100
O20 0.900 0.280 0.059
O21 0.598 0.011 0.806
O22 0.489 0.902 0.694
O23 0.780 0.400 0.559
O24 0.600 0.441 0.220

Properties
The formation energy comes out at -1.76 eV/atom. Its space group is R-3c, No. 167. The crystal system is trigonal.
+++

To do:
Say how many lines of the listing earlier on hold the word "S5", as a bare number.

Worked solution:
1